The Backup Girlfriend (Grove Valley High #2) - Emma Doherty Page 0,50

going to let you take all the credit for this, did you?”

I blink and realize she’s letting me off the hook. She’s not going to make me address yesterday, and she’s letting me act like nothing happened.

“Hey.” I turn to see Chase and Aaron approaching. They’re here way earlier than I’ve ever seen them before, and their eyes are already fixed on the food on the tables. “This looks amazing.”

“I want it all,” Aaron declares, practically drooling.

I hold out my car keys, which are still in my hand. “There’s more in my car. Can you go grab the rest?”

They immediately agree and take off in the direction of my vehicle, and I turn back to the group in front of me.

Sophie, Sasha, and Jennifer are laughing about something, but Livy still looks a little uncomfortable. I’m not surprised. I’ve only ever been a dick to her, and she’s never deserved it. Even yesterday, when she opened up about her dad to me, I still managed to turn it around and be a jerk.

-- begin --
[1]
This entry pairs a crystal structure of MgCd2Br6 with its calculated PXRD pattern. Radiation: Cu Kα (λ = 1.5418 Å). Structure: the GGA-PBE geometry in Alexandria.
Peak positions follow from Bragg's law for the DFT cell and can differ from measured ones.

Principal peaks in the range 15 to 90 degrees two-theta, in order of falling intensity:
2θ = 31.0°, I 100.0
2θ = 43.4°, I 23.2
2θ = 45.3°, I 23.0
2θ = 39.8°, I 18.5
2θ = 45.5°, I 11.8
2θ = 56.1°, I 11.7
2θ = 43.1°, I 11.6
2θ = 64.5°, I 10.1

Structure:
Lattice parameters (Å, degrees): 9.273 9.273 8.404 106.35 106.35 24.81
Atoms (fractional coordinates):
Mg1 0.000 0.000 0.000
Cd1 0.335 0.335 0.667
Cd2 0.665 0.665 0.333
Br1 0.156 0.156 0.092
Br2 0.172 0.172 0.572
Br3 0.498 0.498 0.777
Br4 0.502 0.502 0.223
Br5 0.828 0.828 0.428
Br6 0.844 0.844 0.908

=====

[2]
This entry pairs a crystal structure of MnCdBr2 with its calculated PXRD pattern. Radiation: Cu Kα (λ = 1.5418 Å). Structure: the GGA-PBE geometry in Alexandria.
Peak positions follow from Bragg's law for the DFT cell and can differ from measured ones.

Principal peaks in the range 15 to 90 degrees two-theta, in order of falling intensity:
2θ = 30.2°, I 100.0
2θ = 26.5°, I 74.9
2θ = 15.3°, I 38.7
2θ = 39.5°, I 36.5
2θ = 38.1°, I 35.7
2θ = 29.4°, I 26.9
2θ = 41.6°, I 26.9
2θ = 31.1°, I 24.3

Structure:
Lattice parameters (Å, degrees): 5.772 3.692 6.241 90.00 111.81 90.00
Atoms (fractional coordinates):
Mn1 0.000 0.000 0.000
Cd1 0.709 0.500 0.166
Br1 0.060 0.500 0.735
Br2 0.406 0.000 0.338

=====

[3]
This entry pairs a crystal structure of Mn3CdBr9 with its calculated PXRD pattern. Radiation: Cu Kα (λ = 1.5418 Å). Structure: the GGA-PBE geometry in Alexandria.
Peak positions follow from Bragg's law for the DFT cell and can differ from measured ones.

Principal peaks in the range 15 to 90 degrees two-theta, in order of falling intensity:
2θ = 16.1°, I 100.0
2θ = 27.9°, I 57.7
2θ = 22.2°, I 42.4
2θ = 27.2°, I 41.5
2θ = 26.4°, I 39.3
2θ = 25.2°, I 38.8
2θ = 17.8°, I 36.8
2θ = 30.5°, I 35.1

Structure:
Lattice parameters (Å, degrees): 10.640 10.640 13.246 123.92 123.92 53.15
Atoms (fractional coordinates):
Mn1 0.061 0.939 0.500
Mn2 0.278 0.531 0.613
Mn3 0.531 0.278 0.113
Mn4 0.555 0.697 0.453
Mn5 0.697 0.555 0.953
Mn6 0.939 0.061 0.000
Cd1 0.039 0.485 0.782
Cd2 0.485 0.039 0.282
Br1 0.021 0.752 0.530
Br2 0.047 0.787 0.846
Br3 0.141 0.143 0.711
Br4 0.143 0.141 0.211
Br5 0.180 0.363 0.594
Br6 0.254 0.757 0.370
Br7 0.343 0.472 0.995
Br8 0.363 0.180 0.094
Br9 0.433 0.701 0.799
Br10 0.472 0.343 0.495
Br11 0.564 0.935 0.476
Br12 0.616 0.702 0.144
Br13 0.701 0.433 0.299
Br14 0.702 0.616 0.644
Br15 0.752 0.021 0.030
Br16 0.757 0.254 0.870
Br17 0.787 0.047 0.346
Br18 0.935 0.564 0.976

=====

[4]
This entry pairs a crystal structure of NaMnCdBr5 with its calculated PXRD pattern. Radiation: Cu Kα (λ = 1.5418 Å). Structure: the GGA-PBE geometry in Alexandria.
Peak positions follow from Bragg's law for the DFT cell and can differ from measured ones.
-- stop --

Sophie might be willing to let my behavior yesterday slide, but I don’t deserve to be let off the hook, especially not by Livy.

I clear my throat, and they all look up.

“Um…could I speak to you two?” I ask Sophie and Livy, nodding away from the tables toward a spot where I can speak to them without being overheard.

Sasha and Jennifer send me curious looks as Livy and Sophie walk over to join me.

They don’t say anything as they watch me expectantly.

I take a deep breath. “I’m sorry about yesterday,” I tell Livy directly. “You’ve been really nice to me, offering to help me with this and letting me use your bakery, and I didn’t mean to go off on you. You didn’t deserve it, and I’m really sorry.”

Livy blinks in surprise; clearly she wasn’t expecting that. After a minute… “That’s okay. We all snap sometimes.”

Snap. That’s a nice way of putting it.

Structure and simulated X-ray powder pattern of K3MoSe4 (a GGA-PBE-relaxed structure; λ = 1.5418 Å (Cu Kα)).
Kinematic intensities with the Lorentz-polarization factor, no thermal factor.

Crystal structure
a b c (Å): 8.084 8.084 8.084
angles (deg): 93.19 93.19 93.19
Element x y z (fractional)
K: 0.127 0.214 0.659
K: 0.159 0.714 0.627
K: 0.214 0.659 0.127
K: 0.627 0.159 0.714
K: 0.659 0.127 0.214
K: 0.714 0.627 0.159
Mo: 0.156 0.156 0.156
Mo: 0.656 0.656 0.656
Se: 0.018 0.959 0.319
Se: 0.319 0.018 0.959
Se: 0.335 0.335 0.335
Se: 0.459 0.518 0.819
Se: 0.518 0.819 0.459
Se: 0.819 0.459 0.518
Se: 0.835 0.835 0.835
Se: 0.959 0.319 0.018

Main lines, most intense first (2θ = 15–90°):
2theta  I/Imax
15.1  100
26.8  97
32.3  81
16.0  80
49.4  73
28.4  69
30.4  65
26.3  65

* * * * *

Starting from the GGA+U geometry in Alexandria, the powder XRD pattern of Sr2LiCoWO6 was computed for copper Kα.
Lines closer than 0.1° are merged.

```
Sr2LiCoWO6
1.0
5.4872 -2.7570 0.0000
5.4872 2.7570 0.0000
-2.0456 0.0000 4.8953
Sr Li Co W O
2 1 1 1 6
Cartesian
1.9941 0.0000 0.9348 Sr
6.9347 0.0000 3.9605 Sr
4.4644 0.0000 2.4477 Li
-1.0228 0.0000 2.4477 Co
5.4872 0.0000 0.0000 W
4.2815 1.3631 1.0155 O
4.6472 1.3631 3.8798 O
2.1854 0.0000 3.4321 O
6.7433 0.0000 1.4632 O
4.2815 -1.3631 1.0155 O
4.6472 -1.3631 3.8798 O
```

Most intense lines, 2θ from 10° to 90°, in order of falling intensity:
| Position (°2θ) | Rel. int. |
| --- | --- |
| 30.4 | 100 |
| 28.2 | 87 |
| 32.5 | 37 |
| 47.7 | 36 |
| 18.1 | 34 |
| 34.0 | 26 |
| 48.8 | 26 |
| 35.5 | 22 |
| 18.3 | 22 |
| 31.1 | 20 |
| 56.7 | 17 |
| 59.9 | 16 |

* * * * *

# 1
# NdHoAs2
Simulated powder XRD pattern, Cu Kα X-rays. Input: a crystal structure in Alexandria, relaxed with PBE.
Lines closer than 0.1° are merged.

Most intense lines, 2θ = 15–90°, sorted by position:
2theta  I/Imax
26.06  21
30.18  100
43.21  75
51.16  10
53.58  20
53.69  6
62.76  12
71.21  33
79.21  19
79.36  6

Structural model:
```
NdHoAs2
1.0
2.095 1.210 6.828
-2.095 1.210 6.828
0.000 -2.419 6.828
Nd Ho As
1 1 2
Cartesian
0.000 0.000 0.000 Nd
0.000 0.000 10.243 Ho
0.000 0.000 5.049 As
0.000 0.000 15.436 As
```

# 2
# Ca3Ti2Si4O14
Simulated powder XRD pattern, Cu Kα X-rays. Input: a crystal structure in Alexandria, relaxed with PBE.
Lines closer than 0.1° are merged.

Most intense lines, 2θ = 15–90°, sorted by position:
2theta  I/Imax
27.67  100
28.61  80
29.96  39
31.13  72
31.33  53
31.90  77
35.65  34
38.97  67
39.67  33
48.52  32

Structural model:
```
Ca3Ti2Si4O14
1.0
8.622 -3.890 0.000
8.622 3.890 0.000
-5.571 0.000 8.410
Ca Ti Si O
6 4 8 28
Cartesian
4.443 2.737 6.308 Ca
2.182 0.292 4.495 Ca
4.967 -0.292 0.290 Ca
6.705 0.292 8.121 Ca
9.491 -0.292 3.916 Ca
7.229 -2.737 2.103 Ca
7.229 1.511 2.103 Ti
8.622 0.000 0.000 Ti
5.836 0.000 4.205 Ti
4.443 -1.511 6.308 Ti
4.456 2.665 2.970 Si
0.864 2.261 7.129 Si
10.002 2.665 1.235 Si
8.023 2.261 5.486 Si
3.649 -2.261 2.924 Si
1.671 -2.665 7.175 Si
10.809 -2.261 1.281 Si
7.216 -2.665 5.441 Si

“And I’m sorry to you, Sophie. I know I put you in an awkward position going off on your best friend, and I really appreciate you staying so we could finish up.” I hold out the drinks that’ve been in my hands this whole time. “I brought you both coffee. I know it doesn’t make up for how much you’ve helped me, but I want you to know I really do appreciate the help and I’m really grateful—and for you bringing the napkins and takeout boxes and the forks for the cheesecake. I didn’t even think about that. I really appreciate it.”

Livy smiles, such a sweet, genuine expression that I can tell exactly why Chase fell so hard for her. “Thanks, Abigail. That’s great.” I hand her coffee over and watch as she takes a sip. “Oh my god, this is great.”

“Salted cream cold brew with sugar-free caramel. It’s a game changer.”

She nods as she takes another sip.

I hesitate. “Please don’t tell anyone that stuff I told you about my dad.” My gaze darts between them.

Livy’s face softens. “I wouldn’t tell anyone that, Abigail. I promise.”

Sophie nods. “You know we won’t.”

I guess I do know that. If I’ve learned nothing else over the last couple of weeks, it’s that Livy and Sophie are good people, but the thought of my private, personal business becoming public knowledge still fills me with dread.

I hand Sophie’s coffee over to her, and she takes a sip of it herself. She nods in approval. “This is good.”


A cunning look comes into her eyes. “You know, this does make up for me stopping Jessie from staying yesterday…”

I narrow my eyes at her. I know Sophie well enough to know something else is coming.

“…but I don’t think it makes up for me giving up hours of my Sunday to help you bake.”

“Soph,” Livy hisses, shoving her in her side.

I cross my arms. “What do you want?”

# What comes next are crystal structures, not part of the page
********
[1]
Simulated PXRD pattern
Compound: NdFe2PN
Radiation: a wavelength of 1.5418 Å
Structure: a DFT-relaxed cell (GGA-PBE, Alexandria)
Intensities are scaled so that the largest is 100.

Principal peaks in the range 5° ≤ 2θ ≤ 70°, by intensity:
hkl 1 1 2, 2θ = 37.04°, rel. 100
hkl 1 3 1, 2θ = 37.77°, rel. 47
hkl 1 3 0, 2θ = 35.27°, rel. 47
hkl 0 4 1, 2θ = 36.61°, rel. 44
hkl 0 2 2, 2θ = 31.43°, rel. 28
hkl 2 0 0, 2θ = 49.37°, rel. 24
hkl 0 2 3, 2θ = 43.66°, rel. 20
hkl 1 5 3, 2θ = 65.71°, rel. 19
hkl 2 4 1, 2θ = 63.01°, rel. 17
hkl 1 3 3, 2θ = 54.36°, rel. 17

Crystal structure
```
data_NdFe2PN
_space_group_name_H-M_alt 'C m c m'
_space_group_IT_number 63
_space_group_name_Hall '-C 2c 2'
_cell_length_a 3.692
_cell_length_b 10.535
_cell_length_c 6.765
_cell_angle_alpha 90.00
_cell_angle_beta 90.00
_cell_angle_gamma 90.00
loop_
_atom_site_label
_atom_site_type_symbol
_atom_site_fract_x
_atom_site_fract_y
_atom_site_fract_z
_atom_site_occupancy
Nd1 Nd 0.000 0.048 0.250 1
Fe1 Fe 0.000 0.334 0.055 1
P1 P 0.000 0.228 0.750 1
N1 N 0.000 0.500 0.000 1
```

=====

[2]
Simulated PXRD pattern
Compound: TcRhF2
Radiation: a wavelength of 1.5418 Å
Structure: a DFT-relaxed cell (GGA-PBE, Alexandria)
Intensities are scaled so that the largest is 100.

Principal peaks in the range 5° ≤ 2θ ≤ 70°, by intensity:
hkl 0 1 2, 2θ = 39.44°, rel. 100
hkl 0 0 6, 2θ = 21.27°, rel. 90
hkl 1 0 4, 2θ = 41.45°, rel. 62
hkl 1 0 10, 2θ = 53.80°, rel. 35
hkl 0 1 8, 2θ = 48.79°, rel. 34
hkl 0 0 12, 2θ = 43.31°, rel. 28
hkl 0 1 14, 2θ = 65.85°, rel. 22
hkl 0 0 18, 2θ = 67.22°, rel. 4
hkl 1 0 7, 2θ = 46.60°, rel. 2
hkl 0 1 5, 2θ = 42.90°, rel. 2

Crystal structure
```
data_TcRhF2
_space_group_name_H-M_alt 'R -3 m'
_space_group_IT_number 166
_space_group_name_Hall '-R 3 2"'
_cell_length_a 2.6829
_cell_length_b 2.6829
_cell_length_c 25.0681
_cell_angle_alpha 90.00
_cell_angle_beta 90.00
_cell_angle_gamma 120.00
loop_
_atom_site_label
_atom_site_type_symbol
_atom_site_fract_x
_atom_site_fract_y
_atom_site_fract_z
_atom_site_occupancy
Tc1 Tc 0.0000 0.0000 0.0000 1
Rh1 Rh 0.0000 0.0000 0.5000 1
F1 F 0.0000 0.0000 0.0779 1
```

=====

[3]
Simulated PXRD pattern
Compound: NaNd2Bi
Radiation: a wavelength of 1.5418 Å
Structure: a DFT-relaxed cell (GGA-PBE, Alexandria)
Intensities are scaled so that the largest is 100.

Principal peaks in the range 5° ≤ 2θ ≤ 70°, by intensity:
hkl 1 1 1, 2θ = 31.26°, rel. 100
hkl 2 0 0, 2θ = 34.56°, rel. 38
hkl 3 1 1, 2θ = 59.88°, rel. 32
hkl 1 0 0, 2θ = 17.08°, rel. 25
hkl 2 0 2, 2θ = 53.43°, rel. 22
hkl 1 0 1, 2θ = 25.98°, rel. 19
hkl 2 2 0, 2θ = 49.68°, rel. 14
hkl 0 0 2, 2θ = 39.44°, rel. 13
hkl 2 2 2, 2θ = 65.21°, rel. 12
hkl 1 1 3, 2θ = 66.46°, rel. 12

Crystal structure
```
data_NaNd2Bi
_space_group_name_H-M_alt 'P 4/m m m'
_space_group_IT_number 123
_space_group_name_Hall '-P 4 2'
_cell_length_a 5.190
_cell_length_b 5.190
_cell_length_c 4.569
_cell_angle_alpha 90.00
_cell_angle_beta 90.00
_cell_angle_gamma 90.00
loop_
_atom_site_label
********

“Your Chanel handbag for the next month.”

My jaw drops. “That’s my favorite!”

She shrugs. “For a reason.”

I can’t help the small smile forming on my lips. “Well played.”

She grins in triumph.

I roll my eyes but smile back regardless.

“Um, guys?” Sasha calls from the tables. I look over to see that Chase and Aaron are back, and the tables are so full they’re having to lay the rest of the trays on the chairs behind them, stacking them up so they’re out of the way until they’re needed. Sasha nods behind me. “Maybe we should get started?”

I turn behind me to see that the small crowd has grown considerably. My Copyright 2016 - 2024